=====
A plane-wave DFT calculation with PBE-GGA was carried out for crystalline KIr at its relaxed geometry.

Output
Formation enthalpy at 0 K (eV per atom): 0.453
Density of states at the Fermi level (states/eV per atom): 0.663
Magnetization (μB per formula unit): 0.00
Density (g/cm3): 6.3

```
4
Lattice="-0.3179 -1.6734 -3.0370 3.4608 0.0362 -0.3822 0.6204 -8.8015 4.7848" Properties=species:S:1:pos:R:3 pbc="T T T"
K 0.2529 -3.5885 1.9508
Ir 1.6693 -2.2068 -0.9549
K 2.0940 -8.2320 2.3206
Ir 0.0573 -0.8122 0.4416
```

=====

A plane-wave DFT calculation with PBE-GGA was carried out for crystalline RbCa2YBi at its relaxed geometry.

Output
Formation enthalpy at 0 K (eV per atom): 0.271
Density of states at the Fermi level (states/eV per atom): 0.987
Magnetization (μB per formula unit): 1.10
Density (g/cm3): 3.0

```
5
Lattice="6.0992 0.0000 0.0000 0.0000 6.8010 0.0000 0.0000 0.0000 6.0992" Properties=species:S:1:pos:R:3 pbc="T T T"
Ca 3.0496 0.0000 0.0000
Rb 0.0000 3.4005 0.0000
Bi 0.0000 0.0000 0.0000
Y 3.0496 3.4005 3.0496
Ca 0.0000 0.0000 3.0496
```

=====

A plane-wave DFT calculation with PBE-GGA was carried out for crystalline RbTiOsO6 at its relaxed geometry.

Output
Density of states at the Fermi level (states/eV per atom): 0.469
Magnetization (μB per formula unit): 1.00
Density (g/cm3): 5.1
E_form (uncorrected) (eV/atom): -1.794

```
18
Lattice="-1.8422 0.9182 6.9173 6.7029 -1.9652 2.0459 -0.9049 5.4663 -4.7314" Properties=species:S:1:pos:R:3 pbc="T T T"
Os -0.9211 0.4591 3.4587
O 5.6118 0.4204 1.4387
Rb 2.0163 0.6124 0.4557
O 3.5381 0.3822 3.2782
O 0.4176 4.0370 0.9536
O 2.8638 0.7184 5.8104
O 0.9548 0.6164 3.9373
O -0.6188 1.6010 2.0093
O 4.5746 2.8182 2.2224
O -1.6560 3.9988 2.7931
Os 2.4303 -0.5235 4.4816
Ti -0.4525 2.7331 -2.3657
O -1.2932 1.9371 4.5416
Rb 1.9394 3.8068 3.7761
O 5.2490 2.4821 -0.3098
O 3.0010 3.8028 0.2944
O 1.0920 3.7009 -1.5787
Ti -1.3735 3.1922 1.0929
```

=====

Look up the density of the second one.
3.0 g/cm3

=====

Which of these has the highest magnetization?
RbCa2YBi

----------

A plane-wave DFT calculation with PBE was carried out for SbOs2Au after structural relaxation.

**N(E_F)**: 4.21 states/eV/f.u.
**Space group**: Cmm2 (35)
**E_form (uncorrected)**: 74.2 kJ per mole of atoms
**Mass density**: 15.9 g cm⁻³
**Total magnetic moment**: 0.2 Bohr magnetons per cell

Cell lengths 2.899, 2.899, 10.143 Å; angles 90.00, 90.00, 120.79 degrees
Atoms (fractional coordinates):
1 Au 0.500 0.500 0.774
2 Os 0.000 0.000 0.021
3 Os 0.500 0.500 0.229
4 Sb 0.000 0.000 0.476

----------

A plane-wave DFT calculation with PBE was carried out for a geometry-optimized LaSm5DyY2 structure.

Cell: 5.7171 20.1358 10.6610 Å, 90.00 90.00 90.00°
Last column: nearest neighbours and their distance in Å.
Space group Cmc2_1 (No. 36)
Asymmetric unit:
La  0.0000  0.0831  0.0000 (multiplicity 4)  5 Sm 3.07-3.32
Sm  0.0000  0.0198  0.2874 (multiplicity 4)  2 La 3.07-3.32
Sm  0.0000  0.1128  0.5710 (multiplicity 4)  6 Sm 3.53-3.89, 4 Y 3.58-3.62, 1 Dy 3.75
Sm  0.0000  0.2033  0.2536 (multiplicity 4)  4 Sm 3.46-3.84, 3 Dy 3.54-3.77, 3 Y 3.58-3.72, 1 La 3.63
Sm  0.0000  0.2184  0.8607 (multiplicity 4)  1 La 3.10, 1 Y 3.35, 2 Sm 3.46
Sm  0.0000  0.4816  0.5720 (multiplicity 4)  2 La 3.23, 2 Y 3.44-3.46
Dy  0.0000  0.2986  0.5582 (multiplicity 4)  2 Y 3.47-3.74, 8 Sm 3.54-3.77, 2 La 3.77
Y  0.0000  0.3849  0.8684 (multiplicity 4)  9 Sm 3.35-3.71, 1 Dy 3.74
Y  0.0000  0.3874  0.2797 (multiplicity 4)  7 Sm 3.44-3.72, 1 Dy 3.47, 2 La 3.75

Properties
volume = 34.091 A^3/atom
crystal system = orthorhombic
N(E_F) = 1.635 states/eV/atom
total magnetization = 0.000 μB/atom
E_tot = -4.97 eV per atom

A plane-wave DFT calculation with PBE was carried out for a geometry-optimized TbGdBeAl structure.

Cell: 7.0993 7.0993 7.0993 Å, 90.00 90.00 90.00°
Last column: nearest neighbours and their distance in Å.
Space group F-43m (No. 216)
Asymmetric unit:
Tb  0.0000  0.0000  0.0000 (multiplicity 4)  4 Be 3.07, 4 Al 3.07
=====

Say how many lines of the entries further above hold the word "Al", as a bare number.

1